Ep_3 Linking Youth Ventures with African Investors
This past Tuesday, Ye! held its third episode of the Enterprising Youth Connect series webinar: Linking youth ventures with African investors: Focus on Anglophone West Africa. Organized in collaboration with African Business Angel Network (ABAN), this episode aimed to connect young entrepreneurs with angel and impact investors across the continent with a specific focus on addressing the concerns of young entrepreneurs in English speaking W. Africa. This webinar was co-moderated by two young professionals in the business: Sira Lewis-Wikina, Monitoring and Evaluation Specialist at Growing Business Foundation, and Adeloye Olanrewaju, co-founder of Babymigo and the Ye! Ambassador in Nigeria.
The webinar brought together three esteemed African investors:
- Amie Bensouda, Founder, Amie Bensouda & Co. Corporate Legal Services;
- Vivienne Bamgboye, Non-executive Director, Greenwich Merchant Bank and Meyer Paints PLC; and
- Temilade Denton, Social Impact and ESG Manager, Alitheia Capital.
During the one-hour interactive discussion focusing on the Anglophone West African startup ecosystem, each investor shed light on the impact on funding opportunities brought on by the COVID-19 pandemic, the dos and don’ts of approaching investors, the relevance of social impact in approaching certain investors, and the role of trust in investing.
Let’s dive into some of the key takeaways and insights shared from the investors.
Are you still investing during the pandemic?
It was quite encouraging to hear a resounding YES from all the investors on the panel, in answering the question about whether they are still investing during and after the COVID-19 pandemic.
What impact has the current pandemic had on funding opportunities?
Each investor highlighted a shift in focus within the due diligence process due to COVID-19. In particular, they identified that greater emphasis is being put on the resilience and sustainability of the business, the approach for customer acquisition, as well as the management of cash flow.
What new opportunities has the pandemic presented?
The current pandemic has opened up many opportunities for startups. Startups that can review and reconfigure their strategies, target market and customers, through adapting the business model, pivoting to focus on offering a new product or service or embracing technology in the business operations are getting ahead during this time. For instance, prior to the onset of COVID-19, businesses in the health sector were not necessarily attracting much attention from investors. However, now more investors are discovering the high potential of companies in the health industry as the pandemic rages on. This is especially so in health tech or digital health sectors. Another sector that is seeing greater interest from investors is education, virtual education in particular, because of the pandemic, which is gradually making distance and virtual learning a ‘necessity’ for students and learners of all ages.
How to demonstrate your resilience in business?
As said by Vivienne Ochee Bamgboye, “True resilience means that after the wind has blown everything away, you remain standing”. Smart businesses should take actions to face challenges head on, especially in times of crisis. The investors advised young entrepreneurs not to wait for things returning to ‘normal’.
One example shared demonstrated how a company that specialized in solar energy had decided to expand its offering to produce mobile power banks during the pandemic, due to an increase in demand. The company seized on a gap for reliable mobile power it saw in the market to take advantage of this opportunity. They adjusted their focus to meet the increasing demand for consumers needing to charge their computers and phones on the go.
What does it mean to know your investor in practice?
Review your current status and needs before reaching out. This includes having both a clear picture about where your business currently is and your needs or rationale for seeking finance. In order to succeed in securing investment, it is critical to understand at which stage your company is, start up or growth for example, and where your company is going, and of course, how an investment will help you get there. In addition, it is worth noting to remember to identify the non-financial value that angel investors or impact investors may be able to offer i.e. mentoring and training, network, expertise in your industry.
Do research on investor(s) you want to approach. It is critical to come prepared, and to understand the profiles/types of businesses that they are interested in, their existing investment portfolio, if they have a social angle, if they have existing funds, and who their partners are.
An agency with Development Finance Institutions (DFIs) as partners, tends to be more interested in social entrepreneurs or companies with a strong social impact. A Venture Capital firm may have stricter regulations around the size of investments they will make and the stage or sectors they are interested in.
On the other hand, if you are approaching angel investors, keep in mind that these are individuals who invest because of a desire to support economic growth. It is reasonable to expect angels will invest in smaller ticket sizes, be open to a more flexible arrangement and exit timeline, and in terms of their expected return on investment, therefore making them attractive to very early stage ventures. Research the angel to understand the types of investments they have made before and to get a good sense of whether your business fits with this investment history.
If you are still at the ideation stage, it might be the case that the best option for you might not even be an investor, but an incubator! Only research and information can tell.
In other words, make sure that you do the research to find the right investor to pitch to and work with, and be aware of the pros (and cons) of each potential investment.
Having a commitment to social impact does not mean a social impact investor will invest in you. Especially when it comes to packaging your business proposition, make it clear that you are operating a business and not an NGO or ‘charity’. Investors invest in businesses that can grow and scale and generate impact and profits. If your enterprise is a not-for-profit, chances are seeking finance from an investor is not right for you.
In addition, Temilade Denton stressed that social impact is not only about job creation. Instead social impact is about the long-term effects that your business has on people and environment.
Having a business with social impact can increase your value proposition. However, critical to keep in mind is that, irrespective of their appetite for social impact, investors are not ‘donating’ their money, thus they need to see your capacity to generate income and ideally profit if they are going to invest.
Don’t expect to build trust overnight. Trust is earned, not given. Be transparent and open with your investors so that a mutual trust and confidence can be established over time. Trust changes with time and experience. Even if an investor turns you down once, be humble and stay connected and who knows, maybe in the future it will be the right time to approach them and things will turn out differently. Keep the long game in mind and don’t oversell yourself.
Inside tip! There is no harm in having a lawyer to seek advice from when negotiating with an investor to protect you from any risks or potential misconduct.
Looking forward, what does a post-COVID19 West African investment climate look like?
Although the pandemic has been a nightmare for many businesses, think the tourism sector, companies that are able to leverage technology to their advantage are seeing that the impact of the pandemic has been less severe. Post covid, investors will be more prudent and selective in funding, as their appetite for risk decreases due to the economic downturn of the pandemic. On the other hand, experts are optimistic that the situation will re-stabilize in the medium and long term. Eventually, investment activity will return to its pre-pandemic levels. Angel investor groups will continue to work to strengthen the ecosystem across the continent and could become even more important in the future.
Some interesting audience questions were also brought to light
Q: The Gambian tourism industry is heavily affected by the pandemic and many employees are laid of. What can be the remedy to avoid such unemployment in the future? Should investors play a role?
-- Unrelated to this page: crystal structures --
A plane-wave DFT calculation with PBE was carried out for a relaxed structure of RbNd2I5.

Results
Space group: P2_1/c
DFT formation energy in eV/atom: -1.46

Cell lengths 9.884, 8.788, 14.355 Å; angles 90.00, 90.50, 90.00 degrees
Fractional positions:
Rb (0.004, 0.061, 0.331)
Rb (0.004, 0.439, 0.831)
Rb (0.996, 0.561, 0.169)
Rb (0.996, 0.939, 0.669)
Nd (0.270, 0.586, 0.503)
Nd (0.270, 0.914, 0.003)
Nd (0.494, 0.563, 0.174)
Nd (0.494, 0.937, 0.674)
Nd (0.506, 0.063, 0.326)
Nd (0.506, 0.437, 0.826)
Nd (0.730, 0.086, 0.997)
Nd (0.730, 0.414, 0.497)
I (0.034, 0.170, 0.079)
I (0.034, 0.330, 0.579)
I (0.272, 0.676, 0.721)
I (0.272, 0.824, 0.221)
I (0.288, 0.540, 0.996)
I (0.288, 0.960, 0.496)
I (0.289, 0.147, 0.819)
I (0.289, 0.353, 0.319)
I (0.455, 0.168, 0.105)
I (0.455, 0.332, 0.605)
I (0.545, 0.668, 0.395)
I (0.545, 0.832, 0.895)
I (0.711, 0.647, 0.681)
I (0.711, 0.853, 0.181)
I (0.712, 0.040, 0.504)
I (0.712, 0.460, 0.004)
I (0.728, 0.176, 0.779)
I (0.728, 0.324, 0.279)
I (0.966, 0.670, 0.421)
I (0.966, 0.830, 0.921)

A plane-wave DFT calculation with PBE was carried out for a relaxed structure of Pr2Ni2I.

Results
Space group: P6_3/mmc
DFT formation energy in eV/atom: -0.76

Cell lengths 4.090, 4.090, 17.537 Å; angles 90.00, 90.00, 120.00 degrees
Fractional positions:
Pr (0.000, 0.000, 0.106)
Pr (0.000, 0.000, 0.394)
Pr (0.000, 0.000, 0.606)
Pr (0.000, 0.000, 0.894)
Ni (0.333, 0.667, 0.001)
Ni (0.333, 0.667, 0.499)
Ni (0.667, 0.333, 0.501)
Ni (0.667, 0.333, 0.999)
I (0.333, 0.667, 0.750)
I (0.667, 0.333, 0.250)

A plane-wave DFT calculation with PBE was carried out for a relaxed structure of NpI3.

Results
Space group: Cmcm
DFT formation energy in eV/atom: -1.21

Cell lengths 7.938, 7.938, 9.950 Å; angles 90.00, 90.00, 148.85 degrees
Fractional positions:
Np (0.239, 0.761, 0.750)
Np (0.761, 0.239, 0.250)
I (0.155, 0.845, 0.068)
I (0.155, 0.845, 0.432)
I (0.409, 0.591, 0.250)
I (0.591, 0.409, 0.750)
I (0.845, 0.155, 0.568)
I (0.845, 0.155, 0.932)

A plane-wave DFT calculation with PBE was carried out for a relaxed structure of NpI4O12.

Results
Space group: P4_2/n
DFT formation energy in eV/atom: -1.27

Cell lengths 10.191, 10.191, 5.366 Å; angles 90.00, 90.00, 90.00 degrees
Fractional positions:
Np (0.250, 0.250, 0.250)
Np (0.750, 0.750, 0.750)
I (0.022, 0.748, 0.219)
I (0.248, 0.978, 0.719)
I (0.252, 0.522, 0.719)
I (0.478, 0.752, 0.219)
I (0.522, 0.248, 0.781)
I (0.748, 0.478, 0.281)
I (0.752, 0.022, 0.281)
I (0.978, 0.252, 0.781)
O (0.059, 0.328, 0.053)
O (0.099, 0.322, 0.555)
O (0.130, 0.848, 0.755)
O (0.152, 0.630, 0.255)
O (0.172, 0.059, 0.447)
O (0.178, 0.099, 0.945)
O (0.322, 0.401, 0.945)
O (0.328, 0.441, 0.447)
O (0.348, 0.870, 0.255)
O (0.370, 0.652, 0.755)
O (0.401, 0.178, 0.555)
O (0.441, 0.172, 0.053)
O (0.559, 0.828, 0.947)
O (0.599, 0.822, 0.445)
O (0.630, 0.348, 0.245)
O (0.652, 0.130, 0.745)
O (0.672, 0.559, 0.553)
O (0.678, 0.599, 0.055)
O (0.822, 0.901, 0.055)
O (0.828, 0.941, 0.553)
O (0.848, 0.370, 0.745)
-- End of the crystal structures --
A: Yes, investors can play a role in accelerating the growth of (new) startups. Meanwhile, it is critical for a joint partnership between investors and the public institutions, i.e. the government and international development agencies such as ITC, to ensure the investment ecosystem robust and sustainable, which can create more avenues for inclusive growth, including the youth and women .
Q: Often young entrepreneurs are afraid of reaching out to potential investors owing to the fear of predatory investors who take advantage of the naiveté of these young people to cede management of their companies to them, which results in 'sellers remorse'. How do you think these issues can be addressed?
A: To better protect yourself from predatory investors, first and foremost you need to identify the right investors, based on your knowledge about your own needs and the investor. It can be helpful to speak with other entrepreneurs who are or have been at the same stage as you, so that you can learn from their experiences with certain investors or general fund raising.
Finally, entrepreneurs should know what they don’t know, and reach out to others, such as lawyers and financial advisers, who can mentor them during this process. In the end, the more information you have, the better equipped your are.
Q: In terms of debt, equity and mixture of debt and equity in fund raising by entrepreneurs, in your view what should the entrepreneur consider before settling for any of the fund raising options?
A: It is very important for entrepreneurs to be aware of how much risk appetite they have. For instance, if you decide to negotiate for the debt vis-a-vis the equity, the potential risks for you would be much higher. So, depending on your type of business and the return-on-investment cycle, you might want to start from small, adopting a ‘slowly but surely’ approach in raising funds.
Final key takeaways shared by each featured investor
“Access to investment is the key to the countries in the region, which still needs continued support.” -Amie
“Think from the ‘simple’ things, i.e. how to create value and keep the costs low? and start from there.” - Vivienne
“It is critical to know your business.” -Temilade
Watch the full recording of this webinar below